A new partnership between Pratt Institute and KinoSaito is bringing together faculty from the School of Art and School of Design to spend four weeks creating work. The artist-in-residence fellowship program launched this May at the nonprofit art center in Westchester County, New York. This year’s two fellows were Fine Arts Professor John Monti and Graduate Communications Design Assistant Professor Anton Ginzburg. Monti is a sculptor who incorporates influences ranging from botanical drawings and religious objects to custom-car culture into his work, while Ginzburg is an artist and designer who often explores visual systems and ideas of place, representation, and modernist form.

“We are thrilled about this incredible opportunity to partner with Pratt’s School of Art and School of Design,” said KinoSaito President Mikiko Ino. “This is our first collaborative artist-in-residence program with a college.”

KinoSaito was founded in 2018 and carries on the legacy of Kikuo Saito (1939–2016) through the support of abstract art across media. Saito was a prolific interdisciplinary artist whose work included boldly expressive painting and design for theater, such as costumes and sets, including in collaboration with Pratt alumnus Robert Wilson. He was also supportive of other artists through mentorship in his teaching work and his studio.

Sarah Strauss, AIA, visiting associate professor of interior design, is a founding executive board member of KinoSaito as well as its treasurer and the director of the artist-in-residence program. As an architect, she was pivotal in the renovation of the former St. Patrick’s Catholic School—which had been the studio of Kikuo Saito—into an art center.

“Kikuo always wanted to have his studio in the school building,” Strauss said. “The large scale of the space, the light reflected off the Hudson River, and the quiet of being out of the city—these elements form the ideal environment for making art. It is a joy for us to continue his legacy by offering these beautiful studios to Pratt faculty.”

In 2021, KinoSaito opened its center in the renovated school in the hamlet of Verplanck on the bank of the Hudson River. Because it only has two artists in residence at a time, it offers tranquility and space to immerse in creative work.

“This type of creative retreat for our faculty is much-needed and allows them to recharge their artistry outside of the classroom through KinoSaito’s vast studio spaces and idyllic location,” said School of Design Dean Anita Cooney. School of Art Dean Jorge Oliver added, “Our faculty responded so enthusiastically to this residency program application process that it was difficult to make only one award.”

John Monti’s studio at Kino Saito (courtesy John Monti)
John Monti’s studio at Kino Saito (courtesy John Monti)

## Misplaced quantum chemistry results
'''
# 1
DFT (ωB97M-V/def2-TZVPD) results for the molecule C4H9NO2.

The calculation puts the orbital gap at 10.7 eV. Its energy above the lowest of the compared OMol25 structures with the same formula, charge and spin is 3.240 eV. As for the total charge: 0. The SMILES is COC/C(C)=N\O.

Geometry (Å):
C: -1.1792 -0.1088 0.3574
H: 0.6806 -0.5745 2.5950
H: 0.7642 1.4257 -0.8706
N: 0.7860 -1.4383 -0.3533
C: 1.0467 -0.1756 1.6428
H: -0.5075 2.4848 -1.5226
C: -0.2935 1.4793 -1.1564
C: 0.2168 -0.6755 0.4995
O: -1.1291 1.2535 -0.0403
H: -1.7742 -0.7074 -0.3421
H: 2.0938 -0.4569 1.5142
H: 0.5252 -2.2898 -1.9862
H: -1.6758 -0.1119 1.3340
O: -0.0514 -1.7657 -1.4168
H: -0.4684 0.7444 -1.9499
H: 0.9657 0.9167 1.6953

Cartesian forces, eV/Å:
-0.1 -0.1 0.0
0.0 0.0 -0.1
0.0 0.0 -0.1
-0.1 0.4 0.6
0.0 0.0 0.0
0.0 -0.1 0.0
0.1 0.1 -0.2
0.3 -0.1 -0.3
-0.1 -0.1 0.2
0.1 0.2 0.1
-0.1 0.0 0.0
-0.1 0.0 0.1
0.1 0.0 -0.1
0.0 -0.2 -0.3
-0.1 0.1 0.0
0.0 -0.2 0.0

Here are the Löwdin charges for atoms 1 to 2, given in e: -0.17, 0.08



# 2
DFT (ωB97M-V/def2-TZVPD) results for the molecule C4H9NO2.

The calculation puts the orbital gap at 11.4 eV. Its energy above the lowest of the compared OMol25 structures with the same formula, charge and spin is 0.172 eV. As for the total charge: 0. The SMILES is CCCOC(N)=O.

Geometry (Å):
N: -2.8660 0.2635 -1.4379
H: 2.1571 0.6013 1.7978
C: 2.4050 -0.0016 0.9171
H: 0.1521 -1.6573 0.7342
H: 3.3223 0.4070 0.4841
H: -3.5258 1.0217 -1.4926
C: 0.0005 -0.6056 0.4655
H: 2.6262 -1.0188 1.2627
H: -2.5154 -0.1239 -2.2995
H: -0.3584 -0.0693 1.3478
H: 1.0441 1.0390 -0.4126
O: -2.2134 0.9731 0.6329
C: 1.2696 0.0084 -0.1032
O: -1.0213 -0.5812 -0.5375
H: 1.5602 -0.5466 -1.0058
C: -2.0369 0.2903 -0.3532

Cartesian forces, eV/Å:
0.0 0.1 0.0
0.0 -0.1 -0.1
0.1 0.0 0.0
0.0 0.1 -0.1
-0.1 -0.1 0.1
0.0 -0.1 0.0
0.1 0.0 0.1
-0.1 0.1 -0.1
0.0 0.0 0.1
0.1 0.0 -0.1
0.1 -0.2 0.1
0.1 -0.3 -0.4
0.0 0.0 0.0
-0.2 0.0 0.0
-0.1 0.1 0.2
-0.1 0.1 0.2

Here are the Löwdin charges for atoms 1 to 2, given in e: 0.17, 0.08



# 3
DFT (ωB97M-V/def2-TZVPD) results for a structure of composition C4H9NO2.

The calculation puts the orbital gap at 9.4 eV. Its energy above the lowest of the compared OMol25 structures with the same formula, charge and spin is 3.332 eV. As for the total charge: 0.

Geometry (Å):
H: -1.5620 0.0636 0.3759
N: -0.6990 -1.9881 -1.4719
C: 0.3838 0.6541 -0.1691
H: -0.4574 2.7503 -0.1897
O: 0.6152 -1.5311 0.2837
C: 0.0749 2.0533 0.4678
O: -1.6916 -0.8757 0.2030
H: 2.1514 -0.2907 0.8416
H: 0.0473 -2.5826 -1.7993
H: -1.6275 -2.1371 -1.8371
H: -0.4796 2.0126 1.4185
C: 1.0593 -0.2805 0.8093
H: 1.0199 2.5759 0.7278
C: -0.4907 -1.1097 -0.4299
H: 0.6685 -0.1498 1.8289
H: 0.9875 0.8357 -1.0595

Cartesian forces, eV/Å:
-0.8 0.0 0.4
0.1 0.5 -0.1
0.4 -0.4 -0.2
0.0 -0.3 0.0
0.0 -0.1 0.2
-0.3 -0.3 -0.2
0.0 0.2 0.2
0.0 0.1 0.0
-0.1 0.3 0.2
0.2 0.2 0.2
0.0 -0.2 -0.3
0.3 0.0 0.2
-0.3 -0.5 -0.2
0.3 0.7 -0.4
0.1 0.1 -0.1
0.0 -0.2 0.0
'''

The community engagement of the residency through open studios and its concentration on abstract art make it a unique opportunity for faculty. A central goal of the initiative is to nurture the work of Pratt faculty while connecting people from the two schools, so they can make connections and also return to their classes with new ideas for teaching or curriculum.

“The experience of this residency advances one’s practice, both conceptually and within a medium,” Monti said. “These learned experiences always impact my teaching and enrich what can be shared with students in relation to their work in both direct and indirect ways.” He used this residency to focus on researching and drawing pieces inspired by native flora in the United States that are endangered by climate change and land development.

Ginzburg was likewise influenced by the environment in creating work during the residency, focusing on a new series of drawings and paintings that use generative algorithms to explore landscapes informed by his recent travels. “My residency at KinoSaito provided valuable insights and experiences that will help in my teaching at Pratt,” he said. “I want to introduce [these ideas] into my Visual Language and Technology graduate courses. Also, the importance of cross-disciplinary dialogue and collaboration will be emphasized in my teaching. I want to create a stimulating and supportive environment where students can research, explore, and experiment.”

Anton Ginzburg’s studio at KinoSaito (courtesy Anton Ginzburg)
Anton Ginzburg’s studio at KinoSaito (courtesy Anton Ginzburg)

This fostering of interdisciplinary collaboration is important to the new program, offering an opportunity for art and design faculty who may not meet on the Pratt campus to connect on ideas or share their teaching perspectives.

“At the end of a typical studio day, we would often visit each other in our studios,” Monti said. “Conversations would be had about our work, influences, interests, mediums, and techniques. As visual artists, we discovered commonalities as well as differences within our individual practices.”

Ginzburg added, “I think it is a great initiative for interdepartmental exchange. John is a thoughtful and dedicated artist. We had a chance to talk about our ongoing projects on several occasions and exchange some feedback. Our conversations about our work were an important part of the experience.”